The reader should repeat everything underneath unchanged.

- - -
The following is a quantum chemistry calculation of a 11-piece molecular cluster, C38H99O12P overall, from the Open Molecules 2025 dataset.

Geometry (Å):
C  -0.1758  2.5043  1.3164
C  1.0495  1.8395  0.6803
P  2.3269  1.5272  1.9703
C  3.3544  3.0576  1.7908
C  4.1414  3.3013  0.5032
C  3.4613  0.2346  1.1772
C  3.7280  -0.9678  2.1088
O  5.0473  -1.0389  2.6254
C  5.3641  0.0507  3.4615
O  2.8985  -0.2286  -0.0479
C  3.8433  -0.5087  -1.0610
H  -0.9731  2.6230  0.5840
H  0.0941  3.4952  1.6876
H  -0.5486  1.9179  2.1551
H  0.8001  0.8800  0.2384
H  1.4333  2.4753  -0.1191
H  4.0267  3.0881  2.6526
H  2.6482  3.8789  1.9474
H  4.9912  2.6237  0.4286
H  4.5412  4.3141  0.5069
H  3.5190  3.1748  -0.3821
H  4.4152  0.7193  0.9668
H  3.5670  -1.8682  1.5196
H  3.0058  -0.9839  2.9305
H  6.2499  -0.2187  4.0336
H  5.5875  0.9605  2.8904
H  4.5408  0.2674  4.1525
H  4.3204  -1.4846  -0.9064
H  3.3154  -0.5190  -2.0137
H  4.6281  0.2502  -1.1019
C  2.8286  -5.2138  2.8376
C  1.5495  -4.4433  3.1189
C  0.3112  -5.2982  2.8945
O  1.4855  -3.2529  2.3397
H  2.8527  -5.5333  1.7915
H  3.6976  -4.5790  3.0177
H  2.8980  -6.1049  3.4620
H  1.5596  -4.0899  4.1531
H  0.2693  -5.6276  1.8525
H  -0.5930  -4.7290  3.1114
H  0.3287  -6.1836  3.5334
H  1.4648  -3.4998  1.4026
C  2.0822  -10.2917  5.5626
C  2.5891  -8.8778  5.3310
C  2.0057  -7.8912  6.3302
O  2.3286  -8.4542  3.9934
H  0.9947  -10.3240  5.4488
H  2.5213  -10.9787  4.8399
H  2.3262  -10.6381  6.5677
H  3.6784  -8.8673  5.4068
H  0.9162  -7.8604  6.2350
H  2.3920  -6.8882  6.1488
H  2.2462  -8.1774  7.3550
H  1.3726  -8.4437  3.8654
C  -4.2676  4.6119  -1.6917
C  -2.9540  3.9166  -1.3678
C  -2.1032  3.7207  -2.6108
O  -3.1997  2.6646  -0.7288
H  -4.8421  4.0076  -2.4001
H  -4.8651  4.7441  -0.7898
H  -4.0961  5.5901  -2.1446
H  -2.4027  4.5025  -0.6288
H  -2.6356  3.0992  -3.3348
H  -1.1618  3.2293  -2.3619
H  -1.8789  4.6775  -3.0871
H  -3.6871  2.1152  -1.3540
C  -0.3970  -2.9356  -2.7021
C  -0.1424  -3.0716  -1.2129
C  -0.1720  -1.7305  -0.5104
O  1.0991  -3.7396  -0.9419
H  0.3843  -2.3213  -3.1605
H  -0.3936  -3.9102  -3.1907
H  -1.3597  -2.4534  -2.8805
H  -0.8969  -3.7278  -0.7725
H  0.6050  -1.0707  -0.9062
H  0.0226  -1.8691  0.5548
H  -1.1355  -1.2300  -0.6244
H  1.8078  -3.1866  -1.2934
C  -4.6992  5.0121  -6.4707
C  -3.3893  4.2840  -6.2188
C  -2.5546  4.1475  -7.4808
O  -3.6248  3.0066  -5.6245
H  -5.3051  4.4586  -7.1942
H  -5.2696  5.1044  -5.5464
H  -4.5238  6.0105  -6.8734
H  -2.8158  4.8257  -5.4637
H  -3.0999  3.5697  -8.2327
H  -1.6192  3.6317  -7.2664
H  -2.3254  5.1244  -7.9080
H  -4.1302  2.4763  -6.2519
C  7.4189  -0.6831  0.2866
C  7.5376  -1.1810  -1.1425
C  8.9180  -1.7381  -1.4477
O  7.1873  -0.1519  -2.0718
H  8.1332  0.1286  0.4607
H  6.4171  -0.3081  0.4823
H  7.6207  -1.4773  1.0057
H  6.7916  -1.9602  -1.3145
H  9.6744  -0.9580  -1.3200
H  8.9686  -2.0979  -2.4751
H  9.1661  -2.5609  -0.7760
H  7.8183  0.5692  -1.9627
C  -5.5602  -2.8330  -0.7645
C  -4.2962  -2.0622  -1.1080
C  -4.2700  -0.6863  -0.4709
O  -4.1372  -1.9653  -2.5264
H  -6.4359  -2.2951  -1.1385
H  -5.5423  -3.8211  -1.2246
H  -5.6680  -2.9474  0.3151
H  -3.4245  -2.6289  -0.7690
H  -5.1142  -0.0897  -0.8307
H  -3.3442  -0.1747  -0.7366
H  -4.3408  -0.7365  0.6141
H  -4.8933  -1.4628  -2.8649
C  -6.8931  1.6189  3.9670
C  -6.4749  0.2015  3.6111
C  -5.9245  -0.5500  4.8123
O  -5.5361  0.2036  2.5373
H  -6.0303  2.1850  4.3298
H  -7.2926  2.1303  3.0917
H  -7.6520  1.6212  4.7507
H  -7.3359  -0.3385  3.2113
H  -5.0355  -0.0427  5.1981
H  -5.6425  -1.5646  4.5322
H  -6.6597  -0.6009  5.6166
H  -4.7469  0.6752  2.8300
C  -5.3977  -0.9030  -5.8293
C  -6.6941  -0.4440  -5.1901
C  -7.3700  0.6772  -5.9586
O  -6.4493  -0.0627  -3.8297
H  -4.6812  -0.0762  -5.8592
H  -4.9671  -1.7014  -5.2242
H  -5.5277  -1.2727  -6.8469
H  -7.3771  -1.2918  -5.1089
H  -6.7117  1.5501  -6.0081
H  -8.2958  0.9763  -5.4681
H  -7.5986  0.3686  -6.9794
H  -5.8522  0.6956  -3.8403
C  4.5083  7.1682  3.0276
- - -

The following is a quantum chemistry calculation of a 11-piece molecular cluster, C38H99O12P overall, from the Open Molecules 2025 dataset.

Geometry (Å):
C  -0.1758  2.5043  1.3164
C  1.0495  1.8395  0.6803
P  2.3269  1.5272  1.9703
C  3.3544  3.0576  1.7908
C  4.1414  3.3013  0.5032
C  3.4613  0.2346  1.1772
C  3.7280  -0.9678  2.1088
O  5.0473  -1.0389  2.6254
C  5.3641  0.0507  3.4615
O  2.8985  -0.2286  -0.0479
C  3.8433  -0.5087  -1.0610
H  -0.9731  2.6230  0.5840
H  0.0941  3.4952  1.6876
H  -0.5486  1.9179  2.1551
H  0.8001  0.8800  0.2384
H  1.4333  2.4753  -0.1191
H  4.0267  3.0881  2.6526
H  2.6482  3.8789  1.9474
H  4.9912  2.6237  0.4286
H  4.5412  4.3141  0.5069
H  3.5190  3.1748  -0.3821
H  4.4152  0.7193  0.9668
H  3.5670  -1.8682  1.5196
H  3.0058  -0.9839  2.9305
H  6.2499  -0.2187  4.0336
H  5.5875  0.9605  2.8904
H  4.5408  0.2674  4.1525
H  4.3204  -1.4846  -0.9064
H  3.3154  -0.5190  -2.0137
H  4.6281  0.2502  -1.1019
C  2.8286  -5.2138  2.8376
C  1.5495  -4.4433  3.1189
C  0.3112  -5.2982  2.8945
O  1.4855  -3.2529  2.3397
H  2.8527  -5.5333  1.7915
H  3.6976  -4.5790  3.0177
H  2.8980  -6.1049  3.4620
H  1.5596  -4.0899  4.1531
H  0.2693  -5.6276  1.8525
H  -0.5930  -4.7290  3.1114
H  0.3287  -6.1836  3.5334
H  1.4648  -3.4998  1.4026
C  2.0822  -10.2917  5.5626
C  2.5891  -8.8778  5.3310
C  2.0057  -7.8912  6.3302
O  2.3286  -8.4542  3.9934
H  0.9947  -10.3240  5.4488
H  2.5213  -10.9787  4.8399
H  2.3262  -10.6381  6.5677
H  3.6784  -8.8673  5.4068
H  0.9162  -7.8604  6.2350
H  2.3920  -6.8882  6.1488
H  2.2462  -8.1774  7.3550
H  1.3726  -8.4437  3.8654
C  -4.2676  4.6119  -1.6917
C  -2.9540  3.9166  -1.3678
C  -2.1032  3.7207  -2.6108
O  -3.1997  2.6646  -0.7288
H  -4.8421  4.0076  -2.4001
H  -4.8651  4.7441  -0.7898
H  -4.0961  5.5901  -2.1446
H  -2.4027  4.5025  -0.6288
H  -2.6356  3.0992  -3.3348
H  -1.1618  3.2293  -2.3619
H  -1.8789  4.6775  -3.0871
H  -3.6871  2.1152  -1.3540
C  -0.3970  -2.9356  -2.7021
C  -0.1424  -3.0716  -1.2129
C  -0.1720  -1.7305  -0.5104
O  1.0991  -3.7396  -0.9419
H  0.3843  -2.3213  -3.1605
H  -0.3936  -3.9102  -3.1907
H  -1.3597  -2.4534  -2.8805
H  -0.8969  -3.7278  -0.7725
H  0.6050  -1.0707  -0.9062
H  0.0226  -1.8691  0.5548
H  -1.1355  -1.2300  -0.6244
H  1.8078  -3.1866  -1.2934
C  -4.6992  5.0121  -6.4707
C  -3.3893  4.2840  -6.2188
C  -2.5546  4.1475  -7.4808
O  -3.6248  3.0066  -5.6245
H  -5.3051  4.4586  -7.1942
H  -5.2696  5.1044  -5.5464
H  -4.5238  6.0105  -6.8734
H  -2.8158  4.8257  -5.4637
H  -3.0999  3.5697  -8.2327
H  -1.6192  3.6317  -7.2664
H  -2.3254  5.1244  -7.9080
H  -4.1302  2.4763  -6.2519
C  7.4189  -0.6831  0.2866
C  7.5376  -1.1810  -1.1425
C  8.9180  -1.7381  -1.4477
O  7.1873  -0.1519  -2.0718
H  8.1332  0.1286  0.4607
H  6.4171  -0.3081  0.4823
H  7.6207  -1.4773  1.0057
H  6.7916  -1.9602  -1.3145
H  9.6744  -0.9580  -1.3200
H  8.9686  -2.0979  -2.4751
H  9.1661  -2.5609  -0.7760
H  7.8183  0.5692  -1.9627
C  -5.5602  -2.8330  -0.7645
C  -4.2962  -2.0622  -1.1080
C  -4.2700  -0.6863  -0.4709
O  -4.1372  -1.9653  -2.5264
H  -6.4359  -2.2951  -1.1385
H  -5.5423  -3.8211  -1.2246
H  -5.6680  -2.9474  0.3151
H  -3.4245  -2.6289  -0.7690
H  -5.1142  -0.0897  -0.8307
H  -3.3442  -0.1747  -0.7366
H  -4.3408  -0.7365  0.6141
H  -4.8933  -1.4628  -2.8649
C  -6.8931  1.6189  3.9670
C  -6.4749  0.2015  3.6111
C  -5.9245  -0.5500  4.8123
O  -5.5361  0.2036  2.5373
H  -6.0303  2.1850  4.3298
H  -7.2926  2.1303  3.0917
H  -7.6520  1.6212  4.7507
H  -7.3359  -0.3385  3.2113
H  -5.0355  -0.0427  5.1981
H  -5.6425  -1.5646  4.5322
H  -6.6597  -0.6009  5.6166
H  -4.7469  0.6752  2.8300
C  -5.3977  -0.9030  -5.8293
C  -6.6941  -0.4440  -5.1901
C  -7.3700  0.6772  -5.9586
O  -6.4493  -0.0627  -3.8297
H  -4.6812  -0.0762  -5.8592
H  -4.9671  -1.7014  -5.2242
H  -5.5277  -1.2727  -6.8469
H  -7.3771  -1.2918  -5.1089
H  -6.7117  1.5501  -6.0081
H  -8.2958  0.9763  -5.4681
H  -7.5986  0.3686  -6.9794
H  -5.8522  0.6956  -3.8403
C  4.5083  7.1682  3.0276